
So I'm feeling very poetic tonight. So I'm gonna post the ones that I have written already, and then I'm gonna try to write a few more somewhat soon so that I can post those too.
          	For those of you who have been missing Signed,33 updates, college has been kicking my ass. I want to write more, but academically and emotionally I can't right now. There is more to come, but I have to get to a better place mentally and emotionally first. Until then, poetry.
          	Thanks, guys.


So I'm feeling very poetic tonight. So I'm gonna post the ones that I have written already, and then I'm gonna try to write a few more somewhat soon so that I can post those too.
          For those of you who have been missing Signed,33 updates, college has been kicking my ass. I want to write more, but academically and emotionally I can't right now. There is more to come, but I have to get to a better place mentally and emotionally first. Until then, poetry.
          Thanks, guys.


Hey, guys
          I've been writing a lot lately, and I just want to thank everyone who has been reading Signed, 33 since the beginning. I'm trying to finish up the first draft of this story so that I can edit it and correct it as needed. We're about halfway through with Drew's adventures, and I'm really excited for you guys to see what happens to him next, both with his superpowers and with Rachel. I really hope you guys like what I've written so far, and I would really love it if you let me know what you like and don't like about what I'm writing, just to see what I'm doing right and wrong so far with my writing. Thank you guys so much for the reads and the support, and I'll talk to you soon.


please update signed 33 it's my favorite story and I got addicted now I have nothing to do but roll on the floor in agony


@recklessandthebrave I know this comment is late but You're a creative genius, stories like S33 are the reason I'm contemplating writing a story. I want to become a great writer like you.


@cjkool2002 I'm sorry this is so so so so late but I'm writing new chapters now that my semester is over. Check out Day 16 and Day 17!


In celebration of the holidays, I'm going to do everything I can to get TWO chapters out before January 6th!!!!! You'll want to read them both, they're gonna be really good and really important chapters to Signed,33!!! Thanks to everyone who has contributed to the 3,000+ reads on my story and to those who keep pestering me to keep on writing!!! I'll hear from all of you soon I hope :D Happy Holidays!!!

**Attached: data records**
-- begin --
ORCA calculation (wB97M-V/def2-TZVPD) on a cluster of 7 separate species, H14O7 in total.

Positions of all 21 atoms, in Å:
H: -1.480 -0.569 0.674
H: -2.058 0.832 0.783
H: 1.235 -4.700 0.483
H: 1.452 -3.936 1.779
H: 1.537 3.669 0.454
H: 0.046 3.569 0.174
H: -3.107 -0.496 -3.957
H: -3.712 -1.864 -3.687
H: -2.217 4.101 2.323
H: -0.946 3.271 2.236
H: 1.108 -0.569 0.062
H: 2.225 0.129 0.822
H: 3.636 -2.373 -1.325
H: 2.355 -2.227 -0.520
O: -1.894 0.125 0.149
O: 1.266 -3.806 0.842
O: 0.680 3.958 0.787
O: -3.422 -1.290 -4.404
O: -1.510 3.733 2.866
O: 1.587 0.266 0.111
O: 3.220 -1.823 -0.652

Calculated values
- Molecular weight: 126.10 Da
- Max |F|: 0.011 hartree/bohr
- Charge: 0
- Energy relative to the best compared isomer or geometry (same formula, charge and spin): 51.20 kcal per mole
- HOMO-LUMO gap: 11.12 eV
- 2S+1: 1
- Structure (SMILES): O.O.O.O.O.O.O

ORCA calculation (wB97M-V/def2-TZVPD) on a cluster of 12 separate species, C21H63Cl2NO13P in total at a distorted geometry.

Positions of all 101 atoms, in Å:
C: 0.583 2.439 1.158
C: 0.406 1.034 0.332
O: 1.207 0.003 0.705
N: -0.591 0.751 -0.770
C: -0.130 -0.332 -1.720
C: 1.317 -0.415 -2.486
O: -1.009 -1.340 -1.967
P: -1.145 2.225 -1.606
C: -2.587 2.969 -0.582
C: -4.059 2.867 -1.360
C: -4.449 1.299 -1.763
Cl: -4.482 0.160 -0.265
C: 0.232 3.465 -2.064
C: 0.387 3.776 -3.666
C: 0.974 5.321 -3.795
Cl: 1.723 2.599 -4.297
H: -0.285 3.224 0.973
H: 0.724 2.295 2.333
H: 1.610 2.917 0.781
H: 1.283 -0.125 -3.619
H: 1.655 -1.560 -2.456
H: 2.122 0.179 -1.858
H: -1.748 1.775 -2.868
H: -2.704 2.281 0.383
H: -2.364 4.051 -0.168
H: -4.033 3.538 -2.325
H: -4.893 3.199 -0.580
H: -3.768 0.875 -2.626
H: -5.573 1.314 -2.159
H: -0.026 4.479 -1.495
H: 1.257 3.083 -1.590
H: -0.621 3.653 -4.248
H: 1.677 5.476 -4.734
H: 0.071 6.085 -3.943
H: 1.558 5.687 -2.848
C: 4.931 -1.143 -2.454
O: 4.284 -2.142 -1.687
H: 5.430 -1.616 -3.303
H: 4.191 -0.428 -2.821
H: 5.674 -0.632 -1.836
H: 3.850 -1.693 -0.941
C: 1.430 -4.265 -4.394
O: 2.562 -3.415 -4.412
H: 0.973 -4.269 -5.387
H: 1.740 -5.280 -4.134
H: 0.707 -3.895 -3.664
H: 2.946 -3.432 -3.519
C: -4.446 -3.245 1.367
O: -4.017 -2.381 2.403
H: -5.029 -4.060 1.802
H: -5.071 -2.689 0.663
H: -3.575 -3.657 0.851
H: -3.503 -1.668 1.987
C: 0.489 -7.919 -3.458
O: -0.029 -6.673 -3.886
H: 1.563 -7.815 -3.281
H: -0.003 -8.220 -2.531
H: 0.321 -8.670 -4.234
H: -0.982 -6.796 -4.036
C: 4.531 5.269 -2.135
O: 3.630 4.301 -1.629
H: 4.003 6.218 -2.254
H: 5.358 5.400 -1.433
H: 4.911 4.942 -3.106
H: 4.126 3.470 -1.534
C: 4.486 0.808 2.251
O: 3.267 1.272 2.801
H: 5.252 1.574 2.388
H: 4.793 -0.107 2.764
H: 4.355 0.613 1.184
H: 2.607 0.571 2.665
C: 1.726 -6.715 -0.114
O: 0.563 -7.188 -0.770
H: 2.161 -7.530 0.468
H: 2.451 -6.373 -0.857
H: 1.459 -5.893 0.555
H: 0.199 -6.443 -1.279
C: -7.474 -2.732 -1.001
O: -7.215 -1.882 -2.104
H: -8.478 -3.150 -1.103
H: -6.742 -3.543 -0.987
H: -7.413 -2.156 -0.075
H: -6.318 -1.526 -1.986
C: 1.562 1.680 6.027
O: 2.856 1.343 5.563
H: 1.569 1.694 7.119
H: 1.285 2.669 5.653
-- stop --


Hiya, Becca(: I just updated Thirty Days of Promises. I know it's been a very long time since I wrote the prologue, I'm sorry for the delay.
          (You are receiving this message because you commented on the prologue of my story! I hope you read the first chapter(: )
          (I've been meaning to catch up on Signed 33!(: )